How do I clock in and out?
HHAeXchange offers 2 versions of our app, HHAeXchange and HHAeXchange+. Note the plus sign in the name of the app and ensure you are referencing instructions for the correct version of the app.
This article explains how to clock in and out of a patient visit using the HHAeXchange app.

Complete the following steps to clock in for a visit.
## What comes next are data records, not part of the page
/*
i:
Density functional theory data (PBE) for crystalline CdAg2Pd4 at its relaxed geometry.

Lattice parameters (Å, degrees): 6.8838 6.8838 6.8838 70.75 70.42 109.58
With the nearest neighbours (Å) after each atom.
Sites, in units of the cell vectors:
Cd (0.5000, 0.2500, 0.2500)  8 Pd 2.75-2.76
Pd (0.2498, 0.8733, 0.7088)  4 Ag 2.74-2.75, 2 Cd 2.75-2.76, 3 Pd 2.94-2.99
Cd (0.0000, 0.0000, 0.0000)  8 Pd 2.75-2.76
Ag (0.1238, 0.4988, 0.1250)  8 Pd 2.74-2.75
Ag (0.8762, 0.7512, 0.6250)  8 Pd 2.74-2.75
Ag (0.6238, 0.1250, 0.7512)  8 Pd 2.74-2.75
Ag (0.3762, 0.6250, 0.4988)  8 Pd 2.74-2.75
Pd (0.4179, 0.3765, 0.8733)  4 Ag 2.74-2.75, 2 Cd 2.75-2.76, 3 Pd 2.94-2.99
Pd (0.7502, 0.0414, 0.3765)  4 Ag 2.74-2.75, 2 Cd 2.75-2.76, 3 Pd 2.94-2.99
Pd (0.5821, 0.7088, 0.0414)  4 Ag 2.74-2.75, 2 Cd 2.75-2.76, 3 Pd 2.94-2.99
Pd (0.0821, 0.2086, 0.5412)  4 Ag 2.74-2.75, 2 Cd 2.75-2.76, 3 Pd 2.94-2.99
Pd (0.7498, 0.5412, 0.3767)  4 Ag 2.74-2.75, 2 Cd 2.75-2.76, 3 Pd 2.94-2.99
Pd (0.9179, 0.3767, 0.8735)  4 Ag 2.74-2.75, 2 Cd 2.75-2.76, 3 Pd 2.94-2.99
Pd (0.2502, 0.8735, 0.2086)  4 Ag 2.74-2.75, 2 Cd 2.75-2.76, 3 Pd 2.94-2.99

Summary:
- Space group: I-42d (122)
- Magnetization: 0.00 μB per cell


ii:
Density functional theory data (PBE) for crystalline CdAg2Pd4 at its relaxed geometry.

Lattice parameters (Å, degrees): 5.4922 5.3399 5.4922 118.97 103.63 61.03
With the nearest neighbours (Å) after each atom.
Sites, in units of the cell vectors:
Pd (0.9999, 0.2985, 0.5952)  4 Pd 2.75-2.83, 4 Ag 2.78-2.79, 1 Cd 2.86
Pd (0.0001, 0.7015, 0.4048)  4 Pd 2.75-2.83, 4 Ag 2.78-2.79, 1 Cd 2.86
Ag (0.4988, 0.7513, 0.5012)  2 Ag 2.67, 8 Pd 2.78-2.79
Cd (0.0000, 0.0000, 0.0000)  4 Pd 2.86
Pd (0.4048, 0.2985, 0.0001)  4 Pd 2.75-2.83, 4 Ag 2.78-2.79, 1 Cd 2.86
Pd (0.5952, 0.7015, 0.9999)  4 Pd 2.75-2.83, 4 Ag 2.78-2.79, 1 Cd 2.86
Ag (0.5012, 0.2487, 0.4988)  2 Ag 2.67, 8 Pd 2.78-2.79

Summary:
- Space group: C2/m (12)
- Magnetization: 0.00 μB per cell


Least stable structure among those shown: i.

* * * * *

Entry from Alexandria: an optimized crystal structure of Ta2AlW (PBE).

Cell lengths 3.558, 4.300, 4.424 Å; angles 90.00, 90.00, 90.00 degrees
Sites, in units of the cell vectors:
Ta: 0.000 0.000 0.000
Ta: 0.500 0.000 0.500
Al: 0.000 0.500 0.500
W: 0.500 0.500 0.000

Computed properties:
Raw total energy, eV/atom: -10.14
E_form, eV per atom: -0.0433
Calculated volume, Å³/cell: 67.7
*/
From the Main screen, tap Today’s Schedule. Select the visit. In this example, Greg Baker.
When the Clock-In/Out tab of the Visit Details page opens, tap Clock In.
Select either the GPS or Security Token method to send an EVV.
The term Security Token refers to the FOB Device.
A successful EVV displays in green under Clock In. Unsuccessful EVV placement times display in red instead of green.
From the Visit Detail page, you can also access the following:
**Here the piece breaks off for calculated crystals**
# 1
A geometry-optimized NiSb2TeBr structure, computed with GGA-PBE.

```
NiSb2TeBr
1.0
5.1307 0.0000 0.0000
0.0000 5.1307 0.0000
0.0000 0.0000 5.0055
Ni Sb Te Br
1 2 1 1
direct
0.0000 0.0000 0.0000 Ni
0.0000 0.5000 0.0000 Sb
0.5000 0.0000 0.0000 Sb
0.0000 0.0000 0.5000 Te
0.5000 0.5000 0.5000 Br
```

Output
* final energy: -3.5051 eV per atom
* ΔE to the lowest computed polymorph: 0 meV per atom
* raw formation energy: 263 meV/atom

# 2
A geometry-optimized ScNiBr structure, computed with GGA-PBE.

```
ScNiBr
1.0
4.5743 0.0000 0.0000
0.0000 4.5936 0.0000
0.0000 0.0000 11.6165
Sc Ni Br
4 4 4
direct
0.0000 0.0000 0.0000 Sc
0.0000 0.5000 0.5000 Sc
0.5000 0.0000 0.5000 Sc
0.5000 0.5000 0.0000 Sc
0.0000 0.0000 0.6189 Ni
0.0000 0.5000 0.1189 Ni
0.5000 0.0000 0.1189 Ni
0.5000 0.5000 0.6189 Ni
0.0000 0.0000 0.3415 Br
0.0000 0.5000 0.8415 Br
0.5000 0.0000 0.8415 Br
0.5000 0.5000 0.3415 Br
```

Output
* final energy: -5.0211 eV per atom
* raw formation energy: -426 meV/atom

# 3
A geometry-optimized Sc7NiBr12 structure, computed with GGA-PBE.

```
Sc7NiBr12
1.0
7.0484 4.0694 3.1953
-7.0484 4.0694 3.1953
0.0000 -8.1387 3.1953
Sc Ni Br
7 1 12
direct
0.0000 0.0000 0.0000 Sc
0.1938 0.4697 0.3984 Sc
0.3984 0.1938 0.4697 Sc
0.4697 0.3984 0.1938 Sc
0.5303 0.6016 0.8062 Sc
0.6016 0.8062 0.5303 Sc
0.8062 0.5303 0.6016 Sc
0.5000 0.5000 0.5000 Ni
0.0388 0.1143 0.3417 Br
0.1143 0.3417 0.0388 Br
0.1837 0.5738 0.7199 Br
0.2801 0.8163 0.4262 Br
0.3417 0.0388 0.1143 Br
0.4262 0.2801 0.8163 Br
0.5738 0.7199 0.1837 Br
0.6583 0.9612 0.8857 Br
0.7199 0.1837 0.5738 Br
0.8163 0.4262 0.2801 Br
0.8857 0.6583 0.9612 Br
0.9612 0.8857 0.6583 Br
```

Output
* final energy: -4.9738 eV per atom
* raw formation energy: -1465 meV/atom

# 4
A geometry-optimized ScNi3Br structure, computed with GGA-PBE.

```
ScNi3Br
1.0
4.5953 0.0000 0.0000
0.0000 4.5953 0.0000
0.0000 0.0000 4.5953
Sc Ni Br
1 3 1
direct
0.0000 0.0000 0.0000 Sc
0.0000 0.0000 0.5000 Ni
0.0000 0.5000 0.0000 Ni
0.5000 0.0000 0.0000 Ni
0.5000 0.5000 0.5000 Br
```

Output
* final energy: -3.9875 eV per atom
* ΔE to the lowest computed polymorph: 544 meV per atom
* raw formation energy: 1082 meV/atom

# 5
A geometry-optimized Sc4NiBr5 structure, computed with GGA-PBE.

```
Sc4NiBr5
1.0
8.8129 -1.8636 0.0000
8.8129 1.8636 0.0000
-1.7267 0.0000 7.8068
Sc Ni Br
4 1 5
direct
0.0015 0.0015 0.2115 Sc
0.3574 0.3574 0.9266 Sc
0.6426 0.6426 0.0734 Sc
0.9985 0.9985 0.7885 Sc
0.5000 0.5000 0.0000 Ni
0.1661 0.1661 0.3301 Br
0.1741 0.1741 0.8398 Br
0.5000 0.5000 0.5000 Br
0.8259 0.8259 0.1602 Br
0.8339 0.8339 0.6699 Br
```

Output
* final energy: -5.2078 eV per atom
* raw formation energy: -1261 meV/atom

# 6
A geometry-optimized ScNiBr3 structure, computed with GGA-PBE.

```
ScNiBr3
1.0
5.2985 0.0000 0.0000
0.0000 5.2985 0.0000
0.0000 0.0000 5.2985
Sc Ni Br
1 1 3
direct
0.0000 0.0000 0.0000 Sc
0.5000 0.5000 0.5000 Ni
0.0000 0.0000 0.5000 Br
0.0000 0.5000 0.0000 Br
0.5000 0.0000 0.0000 Br
```

Output
* final energy: -3.7720 eV per atom
Tab | Description |
Directions tab |
Syncs to the mobile device’s GPS to provide directions to the visit location. See the Directions Map section below for further details. |
Patient Info tab |
Displays the patient’s name, any phone numbers connected to the profile, their address, and emergency contacts. |
Care Plan tab |
Contains the patient’s Plan of Care (POC), listing each duty in detail, describing how often it is required, and including other instructions. |
Notes tab |
Maintains a record of notes you or your agency make for the Visit. |

Complete the following steps to clock out of a visit.
When the visit is completed, tap Clock Out on the Clock In/Out page. If the visit included a Plan of Care (POC), you are prompted to select the duties performed.
If the visit requires a patient signature, obtain the signature on the device to process the visit.
The Patient Signature may be required during clock in and/or clock out depending on the contract authorizing the visit. This feature is configured by the agency. -
If the agency allows you to skip the Patient Signature, you are prompted to tap Skip and select the reason why the patient cannot sign.
The Save button is unavailable until a reason is selected.
Tap Save when the required screens are completed to return to the Visit Details page with a confirmation message. Tap OK to return to the home screen.
Visit Notes
Records of crystals, kept here for reference =
- - -
# 1
Compound: K3Ho3VS8
Source: Alexandria
Functional: PBE
Structure: optimized geometry

```
15
Lattice="3.890 2.246 7.512 -3.890 2.246 7.512 0.000 -4.492 7.512" Properties=species:S:1:pos:R:3 pbc="T T T"
K -1.945 -1.123 7.512
K -1.945 1.123 15.024
K 0.000 2.246 7.512
Ho -3.890 0.000 11.268
Ho -1.945 1.123 3.756
Ho 1.945 1.123 3.756
V 0.000 0.000 11.268
S 0.000 0.000 5.278
S -1.769 -1.021 12.664
S 0.000 -2.043 9.872
S -1.769 1.021 9.872
S 1.769 -1.021 12.664
S 0.000 2.043 12.664
S 1.769 1.021 9.872
S 0.000 0.000 17.258
```

Computed properties:
- space-group type = No. 166
- ΔE_f (raw) (eV per atom) = -1.61

=====

# 2
Compound: NiRuPt2
Source: Alexandria
Functional: PBE
Structure: optimized geometry

```
4
Lattice="1.363 0.787 8.821 -1.363 0.787 8.821 0.000 -1.574 8.821" Properties=species:S:1:pos:R:3 pbc="T T T"
Ni 0.000 0.000 0.000
Ru 0.000 0.000 6.843
Pt 0.000 0.000 13.385
Pt 0.000 0.000 19.774
```

Computed properties:
- space-group type = No. 160
- formation energy (eV/f.u.) = 0.0
- excess energy over the best structure of this formula in the dataset (kJ per mole of atoms) = 1.8

=====

# 3
Compound: ErTmPuTh
Source: Alexandria
Functional: PBE
Structure: optimized geometry

```
4
Lattice="0.000 3.912 3.912 3.912 0.000 3.912 3.912 3.912 0.000" Properties=species:S:1:pos:R:3 pbc="T T T"
Er 0.000 0.000 0.000
Tm 5.869 5.869 5.869
Pu 1.956 1.956 1.956
Th 3.912 3.912 3.912
```

Computed properties:
- space-group type = No. 216
- formation energy (eV/f.u.) = 0.8

=====

Number 1: total moment 1.00 μB per formula unit. Number 2: total moment 0.44 μB per formula unit. Number 3: total moment 8.03 μB per formula unit.

~~~~~

Entry from Alexandria via LeMat-Bulk: a geometry-optimized LiBeCr2 structure (PBE-GGA).

Properties
Its calculated volume is 47 Å³/f.u. As for the density of states at the Fermi level: 16.851 states/eV per cell. As for the total moment: 0.000 μB per formula unit. Its formation enthalpy at 0 K is 0.721 eV/atom.

CIF file:
```
data_LiBeCr2
_chemical_formula_sum 'Li4 Be4 Cr8'
_space_group_name_H-M_alt 'I -4 2 d'
_space_group_IT_number 122
_space_group_name_Hall 'I -4 2bw'
_cell_length_a 3.254
_cell_length_b 3.254
_cell_length_c 17.607
_cell_angle_alpha 90.00
_cell_angle_beta 90.00
_cell_angle_gamma 90.00
loop_
_atom_site_label
_atom_site_type_symbol
_atom_site_fract_x
_atom_site_fract_y
_atom_site_fract_z
Li1 Li 0.000 0.000 0.000
Be1 Be 0.000 0.000 0.500
Cr1 Cr 0.239 0.250 0.625
```
- - -
You can enter visit notes during or after a visit. Follow these steps to enter a visit note.
From the Visit Details page, tap the Add Note icon (circled plus sign), as shown.
Select the Note Type: Visit Text Note, Visit Voice Note, or Visit Image Note.
Notes can be reviewed on the Notes tab on the Visit Detail page. After a Note is saved, it cannot be edited or deleted. Any Note created on the Mobile App can be reviewed by your agency.
The Directions map (Visit Details > Directions) displays a 5-mile-wide view with a blue dot marking the exact Patient Address. Pinch-in to zoom out or pinch-out to zoom in. The map also displays transportation routes and nearby buildings.
Directions Map: Zoom Out
Transportation Routes: Zoom In
Community Visit
Agencies can allow a patient visit Scheduled or Unscheduled to be designated as a Community Visit.
When allowed, you can mark a visit as a Community Visit by clicking the icon at the bottom-left of the screen to display the Community Visit checkbox.
When you select the checkbox and tap Confirm, the visit is set as a Community Visit and bypasses the requirement for proximity to the member’s care location.

The Consecutive Shifts feature allows Caregivers to perform a single Clock-in and Clock-out for consecutive shifts for the same patient or for two linked patients, such as a husband and wife receiving back-to-back services at the same address.